Listing:
=====
(1)
# Sc2SiCl

Sc2SiCl after structural relaxation (PBE, the Alexandria database).

```
Sc2SiCl
1.0
-1.174 2.540 1.491
0.435 -1.818 2.561
6.917 2.744 0.773
Cl Sc Si
1 2 1
Cartesian
4.818 2.419 2.606
0.140 0.055 0.016
3.319 1.317 0.371
1.360 1.047 2.219
```

Properties
Space-group type: Cmmm, No. 65
Raw formation energy in meV per atom: -793

---

(2)
# ScSi2Cl

ScSi2Cl after structural relaxation (PBE, the Alexandria database).

```
ScSi2Cl
1.0
-1.440 3.665 -3.038
-3.728 1.105 3.101
1.798 1.928 1.474
Cl Sc Si
1 1 2
Cartesian
0.179 2.797 -0.782
-0.965 1.517 2.288
0.000 0.000 0.000
-2.584 2.385 0.031
```

Properties
Space-group type: P4/mmm, No. 123
Raw formation energy in meV per atom: -9

---

(3)
# ScSiCl2

ScSiCl2 after structural relaxation (PBE, the Alexandria database).

```
ScSiCl2
1.0
-2.107 -2.116 1.769
3.217 0.806 1.025
-3.440 7.515 4.892
Cl Sc Si
2 1 1
Cartesian
-3.189 6.967 4.535
-0.552 1.764 2.971
-1.768 3.863 2.515
-1.980 4.884 5.002
```

Properties
Space-group type: Cmm2, No. 35
Raw formation energy in meV per atom: -602

---

(4)
# Sc2SiCl

Sc2SiCl after structural relaxation (PBE, the Alexandria database).

```
Sc2SiCl
1.0
-6.012 -0.731 -3.608
-5.177 -4.738 -0.675
4.282 4.163 3.747
Cl Sc Si
1 2 1
Cartesian
-2.729 -1.403 0.662
-0.361 -0.176 -0.138
-4.357 0.009 -1.267
-5.055 -2.470 -1.935
```

Properties
Space-group type: Imm2, No. 44
Raw formation energy in meV per atom: -831

---

(5)
# ScSiCl2

ScSiCl2 after structural relaxation (PBE, the Alexandria database).

```
ScSiCl2
1.0
4.494 0.000 0.000
0.000 3.640 0.003
0.000 -0.082 5.022
Cl Sc Si
2 1 1
Cartesian
0.000 0.105 0.024
0.000 1.673 2.489
2.247 0.889 1.256
2.247 2.668 3.769
```

Properties
Space-group type: P2/m, No. 10
Raw formation energy in meV per atom: -605

---

(6)
# ScSi2Cl

ScSi2Cl after structural relaxation (PBE, the Alexandria database).

```
ScSi2Cl
1.0
9.013 0.000 0.000
0.000 9.013 0.000
4.506 4.506 2.323
Sc Si Cl
2 4 2
Cartesian
0.000 0.000 0.000
9.013 4.506 1.161
7.286 2.253 0.581
1.727 6.760 0.581
6.760 6.233 1.742
11.266 11.793 1.742
4.506 4.506 0.000
4.506 9.013 1.161
```

Properties
Space-group type: I-42d, No. 122
Raw formation energy in meV per atom: -61

---

(7)
# ScSi3Cl

ScSi3Cl after structural relaxation (PBE, the Alexandria database).

```
ScSi3Cl
1.0
5.203 0.000 0.000
0.000 5.203 0.000
0.000 0.000 5.203
Sc Si Cl
1 3 1
Cartesian
0.000 0.000 0.000
0.000 2.601 0.000
0.000 0.000 2.601
2.601 0.000 0.000
2.601 2.601 2.601
```

Properties
Space-group type: Pm-3m, No. 221
Raw formation energy in meV per atom: 930

---

(8)
# ScSi2Cl

ScSi2Cl after structural relaxation (PBE, the Alexandria database).

```
ScSi2Cl
1.0
5.104 0.069 -0.085
0.661 5.061 0.085
-1.957 -3.605 3.039
Cl Sc Si
1 1 2
Cartesian
2.982 2.653 0.000
3.018 -0.482 1.477
0.153 0.136 0.000
0.538 1.783 1.562
```

Properties
Space-group type: Imm2, No. 44
Raw formation energy in meV per atom: -315

---
=====
Brief:
Next, retype only the last part of the listing above, starting with the line that has "(2)".
Result:
(2)
# ScSi2Cl

ScSi2Cl after structural relaxation (PBE, the Alexandria database).

```
ScSi2Cl
1.0
-1.440 3.665 -3.038
-3.728 1.105 3.101
1.798 1.928 1.474
Cl Sc Si
1 1 2
Cartesian
0.179 2.797 -0.782
-0.965 1.517 2.288
0.000 0.000 0.000
-2.584 2.385 0.031
```

Properties
Space-group type: P4/mmm, No. 123
Raw formation energy in meV per atom: -9

---

(3)
# ScSiCl2

ScSiCl2 after structural relaxation (PBE, the Alexandria database).

```
ScSiCl2
1.0
-2.107 -2.116 1.769
3.217 0.806 1.025
-3.440 7.515 4.892
Cl Sc Si
2 1 1
Cartesian
-3.189 6.967 4.535
-0.552 1.764 2.971
-1.768 3.863 2.515
-1.980 4.884 5.002
```

Properties
Space-group type: Cmm2, No. 35
Raw formation energy in meV per atom: -602

---

(4)
# Sc2SiCl

Sc2SiCl after structural relaxation (PBE, the Alexandria database).

```
Sc2SiCl
1.0
-6.012 -0.731 -3.608
-5.177 -4.738 -0.675
4.282 4.163 3.747
Cl Sc Si
1 2 1
Cartesian
-2.729 -1.403 0.662
-0.361 -0.176 -0.138
-4.357 0.009 -1.267
-5.055 -2.470 -1.935
```

Properties
Space-group type: Imm2, No. 44
Raw formation energy in meV per atom: -831

---

(5)
# ScSiCl2

ScSiCl2 after structural relaxation (PBE, the Alexandria database).

```
ScSiCl2
1.0
4.494 0.000 0.000
0.000 3.640 0.003
0.000 -0.082 5.022
Cl Sc Si
2 1 1
Cartesian
0.000 0.105 0.024
0.000 1.673 2.489
2.247 0.889 1.256
2.247 2.668 3.769
```

Properties
Space-group type: P2/m, No. 10
Raw formation energy in meV per atom: -605

---

(6)
# ScSi2Cl

ScSi2Cl after structural relaxation (PBE, the Alexandria database).

```
ScSi2Cl
1.0
9.013 0.000 0.000
0.000 9.013 0.000
4.506 4.506 2.323
Sc Si Cl
2 4 2
Cartesian
0.000 0.000 0.000
9.013 4.506 1.161
7.286 2.253 0.581
1.727 6.760 0.581
6.760 6.233 1.742
11.266 11.793 1.742
4.506 4.506 0.000
4.506 9.013 1.161
```

Properties
Space-group type: I-42d, No. 122
Raw formation energy in meV per atom: -61

---

(7)
# ScSi3Cl

ScSi3Cl after structural relaxation (PBE, the Alexandria database).

```
ScSi3Cl
1.0
5.203 0.000 0.000
0.000 5.203 0.000
0.000 0.000 5.203
Sc Si Cl
1 3 1
Cartesian
0.000 0.000 0.000
0.000 2.601 0.000
0.000 0.000 2.601
2.601 0.000 0.000
2.601 2.601 2.601
```

Properties
Space-group type: Pm-3m, No. 221
Raw formation energy in meV per atom: 930

---

(8)
# ScSi2Cl

ScSi2Cl after structural relaxation (PBE, the Alexandria database).

```
ScSi2Cl
1.0
5.104 0.069 -0.085
0.661 5.061 0.085
-1.957 -3.605 3.039
Cl Sc Si
1 1 2
Cartesian
2.982 2.653 0.000
3.018 -0.482 1.477
0.153 0.136 0.000
0.538 1.783 1.562
```

Properties
Space-group type: Imm2, No. 44
Raw formation energy in meV per atom: -315

---